-- File --
~~~
Below is a cluster of 2 separate species, C10H16O in total, with properties calculated with the ωB97M-V functional and the def2-TZVPD basis.

Cartesian coordinates (Å):
C (-3.03, -1.28, 0.33)
C (-2.07, -0.20, 0.19)
C (-1.71, 0.67, 1.16)
C (-0.92, 1.70, 0.85)
C (-0.47, 1.63, -0.48)
O (0.07, 2.74, -1.10)
C (-0.61, 0.58, -1.46)
C (-1.56, -0.36, -1.10)
H (-2.38, -2.03, 0.88)
H (-3.50, -1.79, -0.48)
H (-3.64, -1.13, 1.28)
H (-2.17, 0.45, 2.14)
H (-0.82, 2.40, 1.67)
H (0.29, 3.35, -0.34)
H (0.19, 0.59, -2.26)
H (-1.79, -1.16, -1.88)
C (2.88, -0.84, 1.57)
C (3.13, -1.09, 0.04)
C (2.75, -2.53, -0.41)
H (2.05, -0.06, 1.82)
H (3.76, -0.69, 2.05)
H (2.34, -1.76, 1.90)
H (2.42, -0.43, -0.62)
H (4.11, -0.86, -0.15)
H (3.27, -3.24, 0.35)
H (1.62, -2.69, -0.47)
H (3.34, -2.65, -1.32)

Properties
Kohn-Sham gap (eV): 8.660
Total charge: 0
SMILES: Cc1ccc(O)cc1.CCC
HOMO energy (eV): -7.81


#a
{"formula": "CH3F2OPS", "method": "ωB97M-V with the def2-TZVPD basis set", "mol_weight_g_mol": 132.1, "lumo_energy_ev": 0.51, "total_charge": 0, "orbital_gap_ev": 10.807, "smiles": "COP(F)(F)=S", "elements": ["C", "O", "F", "F", "P", "S", "H", "H", "H"], "positions_angstrom": [[0.0183, 0.6584, 1.1286], [0.8010, 0.5746, -0.1038], [-0.3219, -1.7900, -0.1219], [-1.4867, -0.2584, -1.2167], [0.0705, -0.6334, -1.1653], [1.1109, -0.8106, -2.7658], [-0.9746, 0.3476, 1.1608], [0.1692, 1.6954, 1.1018], [0.6132, 0.2165, 1.9822]]}


#b
{"formula": "CH3F2OPS", "method": "ωB97M-V with the def2-TZVPD basis set", "mol_weight_g_mol": 132.1, "lumo_energy_ev": [-2.65, -2.65], "total_charge": 0, "orbital_gap_ev": [8.320, 8.324], "elements": ["C", "O", "F", "F", "P", "S", "H", "H", "H"], "positions_angstrom": [[-0.1484, 0.1131, 0.1143], [-0.9220, 0.1515, 1.3196], [-1.5911, -2.2257, 1.3086], [1.3806, -1.8845, 2.0444], [-1.0550, -1.0603, 2.2986], [-1.9703, -0.8319, 3.9689], [0.6934, 0.7886, 0.2440], [-0.7906, 0.4543, -0.6962], [0.2176, -0.8924, -0.0861]]}


Verdict on stability: #b comes out at the bottom.
~~~
-- Job --
Filter the entries above: keep the lines with the word "in", please.
-- Done --
Below is a cluster of 2 separate species, C10H16O in total, with properties calculated with the ωB97M-V functional and the def2-TZVPD basis.